Tristan Leclercq, Departement of Mechanics, LadHyx-CNRS, Ecole Polytechnique, gives a seminar on "Drag reduction by elastic reconfiguration with dynamics"
organized by the Department of Aerodynamics, Aeroelacticity and Acoustics of ONERA in Meudon.
The slides of the talk are available here.
Drag reduction by elastic reconfiguration with dynamics
Séminaire de site ONERA/DAAA – Centre de Meudon
Tristan Leclercq
Department of Mechanics, LadHyx-CNRS, Ecole Polytechnique
- Octobre 2017 – 11h - Salle AY-02-62

Figure 1 – Snapshots of the dynamic deformation of a flexible cantilever plate in a transverse flow (solid lines) and trajectory of the tip (dotted lines) , in two different situations. (Left) Flutter of a deflected beam in steady flow. Static equilibirum shape superimposed (dashed line) - (Right) Dynamics reconfiguration in an oscillatory flow
When flexible structures are placed in a fluid flow, the drag they experience is strongly modified by the deformation caused by that flow. In particular, the work of [1] has shown that plants in nature benefit from their flexibility because the drag they have to withstand is lower than it would be if they were rigid. This ability to reduce flow-induced forces by passively adapting its static equilibrium shape is now thought to be a key factor allowing aquatic organisms to survive in flow-dominated habitats [2]. To better understand this phenomenon and quantify the amount of drag reduction resulting from the deformation, several authors have studied the mechanism of elastic reconfiguration in the idealized context of a uniform and steady flow [1, 2].
____________
Record 1
A relaxed structure of RbSiBiS4, computed with PBE.

Values from the calculation:
* ΔH_f (0 K): -1.09 eV per atom
* VASP energy: -129.70 eV for the cell shown
* E (MP2020): -34.438 eV per formula unit

Lattice parameters (Å, degrees): 6.8904 6.5847 18.1979 72.02 90.00 90.00
Last column: nearest neighbours and their distance in Å.
Fractional positions:
Rb  0.2532  0.7098  0.0360  8 S 3.41-3.67
Rb  0.2468  0.7098  0.5360  8 S 3.41-3.67
Rb  0.7532  0.2902  0.4640  8 S 3.41-3.67
Rb  0.7468  0.2902  0.9640  8 S 3.41-3.67
Si  0.2708  0.2023  0.8406  4 S 2.12-2.17
Si  0.2292  0.2023  0.3406  4 S 2.12-2.17
Si  0.7708  0.7977  0.6594  4 S 2.12-2.17
Si  0.7292  0.7977  0.1594  4 S 2.12-2.17
Bi  0.8096  0.2392  0.2232  5 S 2.74-2.99
Bi  0.1904  0.7608  0.7768  5 S 2.74-2.99
Bi  0.6904  0.2392  0.7232  5 S 2.74-2.99
Bi  0.3096  0.7608  0.2768  5 S 2.74-2.99
S  0.5154  0.9909  0.6459  1 Si 2.14
S  0.1812  0.3977  0.2223  1 Si 2.17
S  0.4846  0.0091  0.3541  1 Si 2.14
S  0.0154  0.0091  0.8541  1 Si 2.14
S  0.3188  0.3977  0.7223  1 Si 2.17
S  0.2454  0.4086  0.9100  1 Si 2.13
S  0.7546  0.5914  0.0900  1 Si 2.13
S  0.8188  0.6023  0.7777  1 Si 2.17
S  0.7454  0.5914  0.5900  1 Si 2.13
S  0.2546  0.4086  0.4100  1 Si 2.13
S  0.5078  0.9867  0.8652  1 Si 2.12
S  0.0078  0.0133  0.6348  1 Si 2.12
S  0.4922  0.0133  0.1348  1 Si 2.12
S  0.9846  0.9909  0.1459  1 Si 2.14
S  0.9922  0.9867  0.3652  1 Si 2.12
S  0.6812  0.6023  0.2777  1 Si 2.17

Record 2
A relaxed structure of RbBi3Se5, computed with PBE.

Values from the calculation:
* ΔH_f (0 K): -0.83 eV per atom
* VASP energy: -141.10 eV for the cell shown
* polymorph energy (0 for the lowest one): 0.00 eV/f.u.
* E (MP2020): -37.634 eV per formula unit

Lattice parameters (Å, degrees): 4.2287 12.5923 22.2420 90.00 90.00 90.00
Last column: nearest neighbours and their distance in Å.
Fractional positions:
Rb  0.2500  0.4892  0.2122  8 Se 3.51-3.89
Rb  0.7500  0.5108  0.7878  8 Se 3.51-3.89
Rb  0.7500  0.9892  0.2878  8 Se 3.51-3.89
Rb  0.2500  0.0108  0.7122  8 Se 3.51-3.89
Bi  0.2500  0.3641  0.0249  6 Se 2.92-3.01
Bi  0.7500  0.6359  0.9751  6 Se 2.92-3.01
Bi  0.7500  0.8641  0.4751  6 Se 2.92-3.01
Bi  0.2500  0.1359  0.5249  6 Se 2.92-3.01
Bi  0.2500  0.8044  0.1285  4 Se 2.81-3.11
Bi  0.7500  0.1956  0.8715  4 Se 2.81-3.11
Bi  0.7500  0.3044  0.3715  4 Se 2.81-3.11
Bi  0.2500  0.6956  0.6285  4 Se 2.81-3.11
Bi  0.2500  0.5942  0.4234  5 Se 2.80-3.06
Bi  0.7500  0.4058  0.5766  5 Se 2.80-3.06
Bi  0.7500  0.0942  0.0766  5 Se 2.80-3.06
Bi  0.2500  0.9058  0.9234  5 Se 2.80-3.06
Se  0.2500  0.8069  0.3858  3 Bi 2.80-2.99
Se  0.7500  0.1931  0.6142  3 Bi 2.80-2.99
Se  0.7500  0.3069  0.1142  3 Bi 2.80-2.99
Se  0.2500  0.6931  0.8858  3 Bi 2.80-2.99
Se  0.2500  0.2482  0.2945  2 Bi 2.81
Se  0.7500  0.7518  0.7055  2 Bi 2.81
Se  0.7500  0.7482  0.2055  2 Bi 2.81
Se  0.2500  0.2518  0.7945  2 Bi 2.81
Se  0.2500  0.3614  0.4802  6 Bi 3.01-3.29
Se  0.7500  0.6386  0.5198  6 Bi 3.01-3.29
____________
However, if flexible structures can vary their static shape, they are also given the ability to move dynamically within the flow. Such motion is responsible for additional inertial forces, and it is unclear whether the total drag would be reduced or enhanced when dynamical reconfiguration occurs. I will address this question by considering a flexible cantilever Euler-Bernoulli beam, clamped transverse to the flow, in two different situations where dynamics is involved. Firstly, I will discuss the case where the background flow is steady and structural dynamics is self-triggered. As deflection becomes larger, the structure progressively aligns with the flow and may become subject to the same flutter instability as flags (see Figure 1a). Secondly, I will present the situation where the background flow itself is oscillating (see Figure 1b). Depending on the amplitude of the oscillations, different kinematic regimes are observed for the structural response, associated with different scaling laws for the total drag.
[1] S. Vogel. « Drag and flexibility in sessile organisms », American Zoologist, 24(1):37-44, 1984.
[2] D. L. Harder, O. Speck, C.L. Hurd and T. Speck, « Reconfiguration as a prerequisite for survival in highly unstable flow-dominated habitats », Journal of Plant Growth Regulation, 23(2):98-107, 2004.
[3] S. Alben, M. Shelley, and J. Zhang, “How flexibility induces streamlining in a two-dimensional flow, Physics of fluids, 16(5):1694-1713, 2004.
[4] F. Gosselin, E. de Langre and B.A. Machada-Almeida, « Drag reduction of flexible plates by reconfiguration », Journal of Fluid Mechanics, 650, 319-341, 2010.